• Given:
(1)
{
  "formula": "C4H23N3O5",
  "method": "ωB97M-V with the def2-TZVPD basis set",
  "energy_ha": -706.0510,
  "homo_lumo_gap_ev": 8.9,
  "relative_energy_kj_mol": 198.5,
  "charge": 2,
  "symbols": ["C", "C", "C", "C", "N", "N", "N", "H", "H", "H", "H", "H", "H", "H", "H", "H", "H", "H", "H", "H", "H", "H", "O", "H", "H", "O", "H", "H", "O", "H", "H", "O", "H", "H", "O"],
  "coordinates": [[-0.530, -0.994, -0.830], [0.333, -0.019, -0.239], [1.391, -0.727, 0.523], [2.423, -1.607, -0.052], [3.654, -1.821, 0.484], [1.426, -0.241, 1.920], [-1.495, -0.055, -1.631], [0.069, -1.667, -1.484], [-1.184, -1.533, -0.125], [0.861, 0.666, -0.999], [-0.109, 0.746, 0.446], [2.239, -2.076, -1.072], [4.283, -2.470, 0.125], [3.793, -1.464, 1.389], [2.064, -0.762, 2.560], [0.400, -0.339, 2.292], [1.712, 0.815, 1.941], [-1.830, 0.802, -1.031], [-0.957, 0.327, -2.395], [-2.302, -0.544, -2.009], [-2.215, 2.006, -3.703], [-0.950, 2.676, -4.045], [-1.395, 1.938, -3.431], [-2.508, 1.778, 0.865], [-2.663, 2.666, -0.388], [-2.358, 1.797, -0.123], [1.418, -1.444, -3.947], [0.879, -2.911, -3.926], [0.873, -2.097, -3.513], [-0.917, -1.292, 4.342], [-0.817, 0.251, 4.342], [-0.323, -0.499, 4.207], [-2.457, 2.367, 3.283], [-1.229, 3.273, 3.283], [-1.579, 2.454, 2.942]]
}



(2)
{
  "formula": "C3H3Cl2NO2",
  "method": "ωB97M-V with the def2-TZVPD basis set",
  "energy_ha": -1241.4606,
  "homo_lumo_gap_ev": 8.9,
  "relative_energy_kj_mol": 673.5,
  "charge": 0,
  "smiles": "[O-]/[N+](O)=C/Cl.C#CCl",
  "symbols": ["O", "N", "O", "C", "Cl", "H", "H", "C", "C", "Cl", "H"],
  "coordinates": [[3.108, 0.131, -0.664], [1.889, 0.107, -0.454], [1.113, 0.344, -1.530], [1.469, -0.469, 0.641], [-0.069, -0.873, 0.895], [1.826, 0.673, -2.155], [2.370, -0.792, 1.135], [-2.919, -0.685, 0.676], [-2.659, 0.525, 0.448], [-2.063, 2.024, 0.333], [-4.065, -0.985, 0.675]]
}



(3)
{
  "formula": "C4H7NO2",
  "method": "ωB97M-V with the def2-TZVPD basis set",
  "energy_ha": -361.7627,
  "homo_lumo_gap_ev": 8.5,
  "relative_energy_kj_mol": 310.2,
  "charge": 0,
  "symbols": ["C", "C", "C", "O", "C", "O", "N", "H", "H", "H", "H", "H", "H", "H"],
  "coordinates": [[1.143, -1.320, -0.015], [0.344, -0.095, -0.508], [0.792, 1.201, 0.387], [0.140, 0.024, -1.770], [-0.944, 0.244, 0.295], [-0.505, 1.154, 1.125], [-2.211, 0.093, -0.013], [2.107, -1.261, -0.530], [1.320, -1.350, 1.068], [0.662, -2.252, -0.326], [0.803, 2.109, -0.218], [1.623, 1.125, 1.089], [-2.912, 0.758, 0.282], [-2.362, -0.430, -0.866]]
}



(4)
{
  "formula": "C5H8O3",
  "method": "ωB97M-V with the def2-TZVPD basis set",
  "energy_ha": -420.8273,
  "homo_lumo_gap_ev": 10.5,
  "relative_energy_kj_mol": 600.7,
  "charge": 0,
  "smiles": "C1O[C@H]2CC[C@H](O1)O2",
  "symbols": ["C", "O", "C", "C", "C", "C", "O", "O", "H", "H", "H", "H", "H", "H", "H", "H"],
  "coordinates": [[1.342, -0.239, 1.504], [0.720, -1.612, 1.025], [-0.041, -1.028, -0.034], [-0.935, -0.897, -1.178], [-0.646, 0.808, -1.111], [-0.364, 1.029, 0.396], [1.085, 0.949, 0.781], [-0.886, -0.119, 0.876], [2.514, -0.230, 1.453], [1.107, -0.182, 2.593], [0.706, -0.438, -0.470], [-1.969, -1.118, -1.204], [-0.539, -1.295, -2.122], [-1.570, 1.391, -1.506], [0.141, 0.993, -1.813], [-0.667, 1.988, 0.809]]
}



(5)
{
  "formula": "C22H26NO",
  "method": "ωB97M-V with the def2-TZVPD basis set",
  "energy_ha": -983.7000,
  "homo_lumo_gap_ev": 6.4,
  "relative_energy_kj_mol": 0.0,
  "charge": 1,
  "smiles": "CCc1cc2ccc(COc3cc(C)ccc3C(C)C)cc2c[nH+]1",
  "symbols": ["C", "C", "C", "C", "C", "C", "C", "C", "C", "O", "C", "C", "C", "C", "C", "C", "C", "C", "C", "C", "C", "C", "C", "N", "H", "H", "H", "H", "H", "H", "H", "H", "H", "H", "H", "H", "H", "H", "H", "H", "H", "H", "H", "H", "H", "H", "H", "H", "H", "H"],
• Work order:
The reader should retype only the lines further up with the word "O2" in them.
• Response:
  "smiles": "C1O[C@H]2CC[C@H](O1)O2",